### Work order
Your job: print the lines further below from the one with "-0.14 eV" to the one with "per atom." exactly.

### Data
'''
Record 1
This record from the Materials Project describes U2Mo2C3 after structural relaxation. The functional is GGA-PBE.

Unit cell a=11.5680 b=3.1364 c=5.5657 alpha=90.00 beta=105.73 gamma=90.00
Space group C2/m (No. 12)
Unique sites:
U  0.1035  0.0000  0.3297 [4 per cell]
Mo  0.1546  0.5000  0.8672 [4 per cell]
C  0.0000  0.5000  0.0000 [2 per cell]
C  0.2480  0.0000  0.7390 [4 per cell]

Results
E_form   -0.14 eV per atom

Record 2
This record from the Materials Project describes UGe2Ir2 after structural relaxation. The functional is GGA-PBE.

Unit cell a=4.1241 b=4.1241 c=10.4814 alpha=90.00 beta=90.00 gamma=90.00
Space group I4/mmm (No. 139)
Unique sites:
U  0.0000  0.0000  0.0000 [2 per cell]
Ge  0.0000  0.0000  0.3818 [4 per cell]
Ir  0.0000  0.5000  0.2500 [4 per cell]

Results
E_form   -0.38 eV per atom

In the order shown, the computed energy above the lowest structure with this stoichiometry values come out to 69 100 meV per atom.
'''

### Response
E_form   -0.14 eV per atom

Record 2
This record from the Materials Project describes UGe2Ir2 after structural relaxation. The functional is GGA-PBE.

Unit cell a=4.1241 b=4.1241 c=10.4814 alpha=90.00 beta=90.00 gamma=90.00
Space group I4/mmm (No. 139)
Unique sites:
U  0.0000  0.0000  0.0000 [2 per cell]
Ge  0.0000  0.0000  0.3818 [4 per cell]
Ir  0.0000  0.5000  0.2500 [4 per cell]

Results
E_form   -0.38 eV per atom

In the order shown, the computed energy above the lowest structure with this stoichiometry values come out to 69 100 meV per atom.